# What to do
Your job: copy all of the entries below exactly.
# Listing
<<<
1.
BaZnSn4O8: theoretical XRD peak list (Cu Ka), based on a DFT-relaxed cell (GGA-PBE, Alexandria).
Intensities are scaled so that the largest is 100.

Most intense lines, 2θ = 5–70°, sorted by position:
- hkl 1 1 0, 2θ 29.8, 3.003 Å, I = 100
- hkl 1 0 2, 2θ 31.0, 2.885 Å, I = 58
- hkl 2 0 2, 2θ 43.5, 2.080 Å, I = 27
- hkl 1 1 3, 2θ 49.8, 1.832 Å, I = 17
- hkl 3 0 0, 2θ 52.8, 1.734 Å, I = 31
- hkl 2 1 2, 2θ 53.6, 1.710 Å, I = 28
- hkl 2 2 0, 2θ 61.8, 1.501 Å, I = 25
- hkl 3 0 3, 2θ 67.5, 1.387 Å, I = 12

Cell and atoms:
a b c (Å): 6.0058 6.0058 6.9336
angles (deg): 90.00 90.00 120.00
Space group P-31m (No. 162)
Symmetry-distinct sites (fractional):
Ba 0.0000 0.0000 0.0000
Zn 0.0000 0.0000 0.5000
Sn 0.3333 0.6667 0.2916
O 0.0000 0.2916 0.3029
O 0.3333 0.6667 0.0000

2.
Ce2Cd17: theoretical XRD peak list (Cu Ka), based on a DFT-relaxed cell (GGA-PBE, Alexandria).
Intensities are scaled so that the largest is 100.

Most intense lines, 2θ = 5–70°, sorted by position:
- hkl 3 0 0, 2θ 30.6, 2.918 Å, I = 34
- hkl 2 0 3, 2θ 33.9, 2.647 Å, I = 53
- hkl 2 2 0, 2θ 35.5, 2.527 Å, I = 60
- hkl 3 0 2, 2θ 35.6, 2.519 Å, I = 100
- hkl 0 0 4, 2θ 36.0, 2.493 Å, I = 35
- hkl 2 2 2, 2θ 40.0, 2.254 Å, I = 65
- hkl 6 0 0, 2θ 63.8, 1.459 Å, I = 23
- hkl 3 0 6, 2θ 64.5, 1.444 Å, I = 22

Cell and atoms:
a b c (Å): 10.1093 10.1093 9.9708
angles (deg): 90.00 90.00 120.00
Space group P6_3/mmc (No. 194)
Symmetry-distinct sites (fractional):
Ce 0.0000 0.0000 0.2500
Ce 0.3333 0.6667 0.2500
Cd 0.0000 0.5000 0.0000
Cd 0.0369 0.3643 0.7500
Cd 0.1599 0.3198 0.0296
Cd 0.3333 0.6667 0.5967

=====

Calculated powder diffraction line list of Ac2TmGe4Ir3 for Cu Kα, from a cell relaxed with PBE.
No peak broadening, texture or thermal motion is included.

Structure:
Cell: 4.3982 4.3982 11.0942 Å, 90.00 90.00 90.00°
Space group P-4m2 (No. 115)
Symmetry-distinct sites (fractional):
Ac1 0.0000 0.5000 0.2317
Tm1 0.0000 0.0000 0.5000
Ge1 0.0000 0.0000 0.0000
Ge2 0.0000 0.5000 0.6585
Ge3 0.5000 0.5000 0.0000
Ir1 0.0000 0.5000 0.8860
Ir2 0.5000 0.5000 0.5000

The 10 most intense peaks (15 to 90 degrees two-theta), by angle:
d/Å	intensity
3.110	17
2.995	30
2.830	71
2.713	100
2.199	68
2.070	17
1.981	21
1.737	35
1.555	23
1.349	24

=====

Record 1
This entry pairs a crystal structure of Ba2NaCa5 with its calculated X-ray powder pattern. Radiation: λ = 1.5418 Å (Cu Kα). Structure: DFT lattice parameters and positions (GGA-PBE).

Principal peaks in the range 2θ from 5° to 70°, in order of rising 2θ:
- 2θ 7.83, I = 45, hkl 0 0 2
- 2θ 23.27, I = 29, hkl 1 1 2
- 2θ 27.04, I = 100, hkl 1 1 4
- 2θ 31.14, I = 36, hkl 2 0 0
- 2θ 45.03, I = 21, hkl 2 0 8
- 2θ 52.95, I = 29, hkl 3 1 4

Atomic structure:
Unit cell a=5.7451 b=5.7451 c=22.5812 alpha=90.00 beta=90.00 gamma=90.00
Space group I4/mmm (No. 139)
Asymmetric unit:
Ba (0.0000, 0.0000, 0.2461) [4 per cell]
Na (0.0000, 0.0000, 0.5000) [2 per cell]
Ca (0.0000, 0.0000, 0.0000) [2 per cell]
Ca (0.0000, 0.5000, 0.1132) [8 per cell]

Record 2
This entry pairs a crystal structure of Hg5O2F12 with its calculated X-ray powder pattern. Radiation: λ = 1.5418 Å (Cu Kα). Structure: DFT lattice parameters and positions (GGA-PBE).

Principal peaks in the range 2θ from 5° to 70°, in order of rising 2θ:
- 2θ 14.12, I = 19, hkl 2 0 0
- 2θ 25.95, I = 100, hkl 3 1 0
- 2θ 27.61, I = 89, hkl 1 1 -2
- 2θ 29.71, I = 29, hkl 0 2 0
- 2θ 43.81, I = 26, hkl 2 2 2
- 2θ 44.15, I = 26, hkl 4 2 -2

Atomic structure:
Unit cell a=13.0702 b=6.0132 c=7.6636 alpha=90.00 beta=106.24 gamma=90.00
Space group C2/m (No. 12)
Asymmetric unit:
Hg (0.0000, 0.0000, 0.0000) [2 per cell]
Hg (0.1834, 0.5000, 0.3407) [4 per cell]
Hg (0.1857, 0.5000, 0.8478) [4 per cell]
O (0.0000, 0.2240, 0.5000) [4 per cell]
F (0.0060, 0.5000, 0.2871) [4 per cell]
F (0.0231, 0.0000, 0.2859) [4 per cell]
F (0.1558, 0.2532, 0.0658) [8 per cell]
F (0.1785, 0.2591, 0.6048) [8 per cell]

=====

Structure and theoretical XRD peak list of Li3Mn2CoO6 (a cell relaxed with PBE+U; Cu Kα, 1.54184 Å).
>>>
# Result
1.
BaZnSn4O8: theoretical XRD peak list (Cu Ka), based on a DFT-relaxed cell (GGA-PBE, Alexandria).
Intensities are scaled so that the largest is 100.

Most intense lines, 2θ = 5–70°, sorted by position:
- hkl 1 1 0, 2θ 29.8, 3.003 Å, I = 100
- hkl 1 0 2, 2θ 31.0, 2.885 Å, I = 58
- hkl 2 0 2, 2θ 43.5, 2.080 Å, I = 27
- hkl 1 1 3, 2θ 49.8, 1.832 Å, I = 17
- hkl 3 0 0, 2θ 52.8, 1.734 Å, I = 31
- hkl 2 1 2, 2θ 53.6, 1.710 Å, I = 28
- hkl 2 2 0, 2θ 61.8, 1.501 Å, I = 25
- hkl 3 0 3, 2θ 67.5, 1.387 Å, I = 12

Cell and atoms:
a b c (Å): 6.0058 6.0058 6.9336
angles (deg): 90.00 90.00 120.00
Space group P-31m (No. 162)
Symmetry-distinct sites (fractional):
Ba 0.0000 0.0000 0.0000
Zn 0.0000 0.0000 0.5000
Sn 0.3333 0.6667 0.2916
O 0.0000 0.2916 0.3029
O 0.3333 0.6667 0.0000

2.
Ce2Cd17: theoretical XRD peak list (Cu Ka), based on a DFT-relaxed cell (GGA-PBE, Alexandria).
Intensities are scaled so that the largest is 100.

Most intense lines, 2θ = 5–70°, sorted by position:
- hkl 3 0 0, 2θ 30.6, 2.918 Å, I = 34
- hkl 2 0 3, 2θ 33.9, 2.647 Å, I = 53
- hkl 2 2 0, 2θ 35.5, 2.527 Å, I = 60
- hkl 3 0 2, 2θ 35.6, 2.519 Å, I = 100
- hkl 0 0 4, 2θ 36.0, 2.493 Å, I = 35
- hkl 2 2 2, 2θ 40.0, 2.254 Å, I = 65
- hkl 6 0 0, 2θ 63.8, 1.459 Å, I = 23
- hkl 3 0 6, 2θ 64.5, 1.444 Å, I = 22

Cell and atoms:
a b c (Å): 10.1093 10.1093 9.9708
angles (deg): 90.00 90.00 120.00
Space group P6_3/mmc (No. 194)
Symmetry-distinct sites (fractional):
Ce 0.0000 0.0000 0.2500
Ce 0.3333 0.6667 0.2500
Cd 0.0000 0.5000 0.0000
Cd 0.0369 0.3643 0.7500
Cd 0.1599 0.3198 0.0296
Cd 0.3333 0.6667 0.5967

=====

Calculated powder diffraction line list of Ac2TmGe4Ir3 for Cu Kα, from a cell relaxed with PBE.
No peak broadening, texture or thermal motion is included.

Structure:
Cell: 4.3982 4.3982 11.0942 Å, 90.00 90.00 90.00°
Space group P-4m2 (No. 115)
Symmetry-distinct sites (fractional):
Ac1 0.0000 0.5000 0.2317
Tm1 0.0000 0.0000 0.5000
Ge1 0.0000 0.0000 0.0000
Ge2 0.0000 0.5000 0.6585
Ge3 0.5000 0.5000 0.0000
Ir1 0.0000 0.5000 0.8860
Ir2 0.5000 0.5000 0.5000

The 10 most intense peaks (15 to 90 degrees two-theta), by angle:
d/Å	intensity
3.110	17
2.995	30
2.830	71
2.713	100
2.199	68
2.070	17
1.981	21
1.737	35
1.555	23
1.349	24

=====

Record 1
This entry pairs a crystal structure of Ba2NaCa5 with its calculated X-ray powder pattern. Radiation: λ = 1.5418 Å (Cu Kα). Structure: DFT lattice parameters and positions (GGA-PBE).

Principal peaks in the range 2θ from 5° to 70°, in order of rising 2θ:
- 2θ 7.83, I = 45, hkl 0 0 2
- 2θ 23.27, I = 29, hkl 1 1 2
- 2θ 27.04, I = 100, hkl 1 1 4
- 2θ 31.14, I = 36, hkl 2 0 0
- 2θ 45.03, I = 21, hkl 2 0 8
- 2θ 52.95, I = 29, hkl 3 1 4

Atomic structure:
Unit cell a=5.7451 b=5.7451 c=22.5812 alpha=90.00 beta=90.00 gamma=90.00
Space group I4/mmm (No. 139)
Asymmetric unit:
Ba (0.0000, 0.0000, 0.2461) [4 per cell]
Na (0.0000, 0.0000, 0.5000) [2 per cell]
Ca (0.0000, 0.0000, 0.0000) [2 per cell]
Ca (0.0000, 0.5000, 0.1132) [8 per cell]

Record 2
This entry pairs a crystal structure of Hg5O2F12 with its calculated X-ray powder pattern. Radiation: λ = 1.5418 Å (Cu Kα). Structure: DFT lattice parameters and positions (GGA-PBE).

Principal peaks in the range 2θ from 5° to 70°, in order of rising 2θ:
- 2θ 14.12, I = 19, hkl 2 0 0
- 2θ 25.95, I = 100, hkl 3 1 0
- 2θ 27.61, I = 89, hkl 1 1 -2
- 2θ 29.71, I = 29, hkl 0 2 0
- 2θ 43.81, I = 26, hkl 2 2 2
- 2θ 44.15, I = 26, hkl 4 2 -2

Atomic structure:
Unit cell a=13.0702 b=6.0132 c=7.6636 alpha=90.00 beta=106.24 gamma=90.00
Space group C2/m (No. 12)
Asymmetric unit:
Hg (0.0000, 0.0000, 0.0000) [2 per cell]
Hg (0.1834, 0.5000, 0.3407) [4 per cell]
Hg (0.1857, 0.5000, 0.8478) [4 per cell]
O (0.0000, 0.2240, 0.5000) [4 per cell]
F (0.0060, 0.5000, 0.2871) [4 per cell]
F (0.0231, 0.0000, 0.2859) [4 per cell]
F (0.1558, 0.2532, 0.0658) [8 per cell]
F (0.1785, 0.2591, 0.6048) [8 per cell]

=====

Structure and theoretical XRD peak list of Li3Mn2CoO6 (a cell relaxed with PBE+U; Cu Kα, 1.54184 Å).